## Material
<<<
Record 1
A relaxed structure of NaPr5Te6. Source: the Open Quantum Materials Database, functional GGA-PBE.

Cell lengths 7.829, 13.567, 7.865 Å; angles 90.00, 109.46, 90.00 degrees
Space group C2/m (No. 12)
One atom of each set of equivalent atoms:
Na1 0.000 0.000 0.000 x2
Pr1 0.000 0.166 0.500 x4
Pr2 0.000 0.335 0.000 x4
Pr3 0.000 0.500 0.500 x2
Te1 0.246 0.000 0.755 x4
Te2 0.247 0.165 0.248 x8

Electronic total energy: -5.088 eV/atom



Record 2
A relaxed structure of NaPr3Te4. Source: the Open Quantum Materials Database, functional GGA-PBE.

Cell lengths 9.123, 12.817, 4.509 Å; angles 90.00, 90.00, 90.00 degrees
Space group Cmmm (No. 65)
One atom of each set of equivalent atoms:
Na1 0.000 0.000 0.000 x2
Pr1 0.000 0.500 0.000 x2
Pr2 0.250 0.250 0.500 x4
Te1 0.000 0.248 0.000 x4
Te2 0.248 0.000 0.500 x4

Electronic total energy: -4.925 eV/atom



Record 3
A relaxed structure of NaPrZnTe3. Source: the Open Quantum Materials Database, functional GGA-PBE.

Cell lengths 9.082, 4.429, 10.291 Å; angles 90.00, 103.26, 90.00 degrees
Space group P2_1/m (No. 11)
One atom of each set of equivalent atoms:
Na1 0.199 0.250 0.217 x2
Pr1 0.322 0.750 0.853 x2
Zn1 0.085 0.250 0.600 x2
Te1 0.070 0.250 0.856 x2
Te2 0.222 0.750 0.522 x2
Te3 0.436 0.750 0.171 x2

ΔE to the lowest computed polymorph: 11 meV/atom
Electronic total energy: -3.781 eV/atom



Record 4
A relaxed structure of NaPrZnTe3. Source: the Open Quantum Materials Database, functional GGA-PBE.

Cell lengths 4.394, 14.727, 11.978 Å; angles 90.00, 90.00, 90.00 degrees
Space group Cmcm (No. 63)
One atom of each set of equivalent atoms:
Na1 0.000 0.236 0.250 x4
Pr1 0.000 0.000 0.000 x4
Zn1 0.000 0.469 0.750 x4
Te1 0.000 0.084 0.750 x4
Te2 0.000 0.357 0.575 x8

ΔE to the lowest computed polymorph: 0 meV/atom
Electronic total energy: -3.792 eV/atom



Record 5
A relaxed structure of NaPrZnTe3. Source: the Open Quantum Materials Database, functional GGA-PBE.

Cell lengths 12.618, 4.471, 13.115 Å; angles 90.00, 90.00, 90.00 degrees
Space group Pnma (No. 62)
One atom of each set of equivalent atoms:
Na1 0.187 0.250 0.010 x4
Pr1 0.031 0.250 0.316 x4
Zn1 0.248 0.750 0.208 x4
Te1 0.051 0.750 0.140 x4
Te2 0.104 0.250 0.563 x4
Te3 0.209 0.750 0.820 x4

ΔE to the lowest computed polymorph: 15 meV/atom
Electronic total energy: -3.777 eV/atom



Record 6
A relaxed structure of NaPrTl2. Source: the Open Quantum Materials Database, functional GGA-PBE.

Cell lengths 5.381, 5.381, 4.012 Å; angles 90.00, 90.00, 90.00 degrees
Space group P4/mmm (No. 123)
One atom of each set of equivalent atoms:
Na1 0.000 0.000 0.000 x1
Pr1 0.500 0.500 0.000 x1
Tl1 0.000 0.500 0.500 x2

Electronic total energy: -2.986 eV/atom

* * * * *

Density functional theory data (PBE) for a geometry-optimized YTl3Sb2Te6 structure.

The space group is C2/m (No. 12) and the conventional cell measures 7.779, 13.473 and 8.426 Å, with angles of 90.00, 107.91 and 90.00 degrees. Symmetry generates all atoms from Y at (0.000, 0.000, 0.000), Tl at (0.000, 0.165, 0.500), Tl at (0.000, 0.500, 0.500), Sb at (0.000, 0.334, 0.000), Te at (0.236, 0.500, 0.212) and Te at (0.239, 0.167, 0.215).

The calculation puts the formation energy from raw total energies at -48.77 kJ per mole of atoms. Its total magnetization is 0.00 μB/f.u.

* * * * *

# Nd6HoTl5

A relaxed structure of Nd6HoTl5 (PBE, Alexandria). Values from VASP.

Geometry as Quantum ESPRESSO input:
```
&SYSTEM
  ibrav = 0, nat = 12, ntyp = 3
/
ATOMIC_SPECIES
Nd 144.24 Nd.upf
Ho 164.93 Ho.upf
Tl 204.38 Tl.upf
CELL_PARAMETERS angstrom
-2.554 4.561 7.763
2.554 -4.561 7.763
2.554 4.561 -7.763
ATOMIC_POSITIONS angstrom
Nd 2.554 2.183 -2.659
Nd 0.000 2.130 0.000
Nd 2.554 2.183 2.659
Nd 0.000 2.378 5.105
Nd 0.000 6.992 0.000
Nd 0.000 2.378 10.422
Ho 0.000 0.000 7.763
Tl 2.554 0.000 0.000
Tl 0.000 0.000 2.691
Tl 2.554 0.000 5.441
Tl 0.000 4.561 2.322
Tl 0.000 0.000 12.835
```
>>>

## Activity
Set down everything above unchanged.

## Written answer
Record 1
A relaxed structure of NaPr5Te6. Source: the Open Quantum Materials Database, functional GGA-PBE.

Cell lengths 7.829, 13.567, 7.865 Å; angles 90.00, 109.46, 90.00 degrees
Space group C2/m (No. 12)
One atom of each set of equivalent atoms:
Na1 0.000 0.000 0.000 x2
Pr1 0.000 0.166 0.500 x4
Pr2 0.000 0.335 0.000 x4
Pr3 0.000 0.500 0.500 x2
Te1 0.246 0.000 0.755 x4
Te2 0.247 0.165 0.248 x8

Electronic total energy: -5.088 eV/atom



Record 2
A relaxed structure of NaPr3Te4. Source: the Open Quantum Materials Database, functional GGA-PBE.

Cell lengths 9.123, 12.817, 4.509 Å; angles 90.00, 90.00, 90.00 degrees
Space group Cmmm (No. 65)
One atom of each set of equivalent atoms:
Na1 0.000 0.000 0.000 x2
Pr1 0.000 0.500 0.000 x2
Pr2 0.250 0.250 0.500 x4
Te1 0.000 0.248 0.000 x4
Te2 0.248 0.000 0.500 x4

Electronic total energy: -4.925 eV/atom



Record 3
A relaxed structure of NaPrZnTe3. Source: the Open Quantum Materials Database, functional GGA-PBE.

Cell lengths 9.082, 4.429, 10.291 Å; angles 90.00, 103.26, 90.00 degrees
Space group P2_1/m (No. 11)
One atom of each set of equivalent atoms:
Na1 0.199 0.250 0.217 x2
Pr1 0.322 0.750 0.853 x2
Zn1 0.085 0.250 0.600 x2
Te1 0.070 0.250 0.856 x2
Te2 0.222 0.750 0.522 x2
Te3 0.436 0.750 0.171 x2

ΔE to the lowest computed polymorph: 11 meV/atom
Electronic total energy: -3.781 eV/atom



Record 4
A relaxed structure of NaPrZnTe3. Source: the Open Quantum Materials Database, functional GGA-PBE.

Cell lengths 4.394, 14.727, 11.978 Å; angles 90.00, 90.00, 90.00 degrees
Space group Cmcm (No. 63)
One atom of each set of equivalent atoms:
Na1 0.000 0.236 0.250 x4
Pr1 0.000 0.000 0.000 x4
Zn1 0.000 0.469 0.750 x4
Te1 0.000 0.084 0.750 x4
Te2 0.000 0.357 0.575 x8

ΔE to the lowest computed polymorph: 0 meV/atom
Electronic total energy: -3.792 eV/atom



Record 5
A relaxed structure of NaPrZnTe3. Source: the Open Quantum Materials Database, functional GGA-PBE.

Cell lengths 12.618, 4.471, 13.115 Å; angles 90.00, 90.00, 90.00 degrees
Space group Pnma (No. 62)
One atom of each set of equivalent atoms:
Na1 0.187 0.250 0.010 x4
Pr1 0.031 0.250 0.316 x4
Zn1 0.248 0.750 0.208 x4
Te1 0.051 0.750 0.140 x4
Te2 0.104 0.250 0.563 x4
Te3 0.209 0.750 0.820 x4

ΔE to the lowest computed polymorph: 15 meV/atom
Electronic total energy: -3.777 eV/atom



Record 6
A relaxed structure of NaPrTl2. Source: the Open Quantum Materials Database, functional GGA-PBE.

Cell lengths 5.381, 5.381, 4.012 Å; angles 90.00, 90.00, 90.00 degrees
Space group P4/mmm (No. 123)
One atom of each set of equivalent atoms:
Na1 0.000 0.000 0.000 x1
Pr1 0.500 0.500 0.000 x1
Tl1 0.000 0.500 0.500 x2

Electronic total energy: -2.986 eV/atom

* * * * *

Density functional theory data (PBE) for a geometry-optimized YTl3Sb2Te6 structure.

The space group is C2/m (No. 12) and the conventional cell measures 7.779, 13.473 and 8.426 Å, with angles of 90.00, 107.91 and 90.00 degrees. Symmetry generates all atoms from Y at (0.000, 0.000, 0.000), Tl at (0.000, 0.165, 0.500), Tl at (0.000, 0.500, 0.500), Sb at (0.000, 0.334, 0.000), Te at (0.236, 0.500, 0.212) and Te at (0.239, 0.167, 0.215).

The calculation puts the formation energy from raw total energies at -48.77 kJ per mole of atoms. Its total magnetization is 0.00 μB/f.u.

* * * * *

# Nd6HoTl5

A relaxed structure of Nd6HoTl5 (PBE, Alexandria). Values from VASP.

Geometry as Quantum ESPRESSO input:
```
&SYSTEM
  ibrav = 0, nat = 12, ntyp = 3
/
ATOMIC_SPECIES
Nd 144.24 Nd.upf
Ho 164.93 Ho.upf
Tl 204.38 Tl.upf
CELL_PARAMETERS angstrom
-2.554 4.561 7.763
2.554 -4.561 7.763
2.554 4.561 -7.763
ATOMIC_POSITIONS angstrom
Nd 2.554 2.183 -2.659
Nd 0.000 2.130 0.000
Nd 2.554 2.183 2.659
Nd 0.000 2.378 5.105
Nd 0.000 6.992 0.000
Nd 0.000 2.378 10.422
Ho 0.000 0.000 7.763
Tl 2.554 0.000 0.000
Tl 0.000 0.000 2.691
Tl 2.554 0.000 5.441
Tl 0.000 4.561 2.322
Tl 0.000 0.000 12.835
```